-- Source --
-- begin --
(1)
# TbAlNO
Theoretical powder XRD pattern, Cu Kα (λ = 1.5418 Å). Input: a structure optimized by DFT (PBE).
No peak broadening, texture or thermal motion is included.

Peak list (10 most intense, 2θ from 5° to 70°, in order of rising 2θ)
11.2 deg, rel. 69
27.4 deg, rel. 54
33.8 deg, rel. 100
34.0 deg, rel. 17
34.9 deg, rel. 31
36.1 deg, rel. 31
51.1 deg, rel. 20
59.8 deg, rel. 19
61.8 deg, rel. 17
63.5 deg, rel. 18

Structure:
```
data_TbAlNO
_cell_length_a 5.148
_cell_length_b 7.911
_cell_length_c 4.972
_cell_angle_alpha 90.00
_cell_angle_beta 90.00
_cell_angle_gamma 90.00
_symmetry_space_group_name_H-M 'P c a 21'
_symmetry_Int_Tables_number 29
loop_
_symmetry_equiv_pos_as_xyz
'x,y,z'
'-x,-y,z+1/2'
'-x+1/2,y,z+1/2'
'x+1/2,-y,z'
loop_
_atom_site_label
_atom_site_type_symbol
_atom_site_fract_x
_atom_site_fract_y
_atom_site_fract_z
Tb1 Tb 0.010 0.133 0.000
Al1 Al 0.061 0.614 0.966
N1 N 0.007 0.837 0.001
O1 O 0.123 0.554 0.613
```

---

(2)
# Li4ZnIn2Ir
Theoretical powder XRD pattern, Cu Kα (λ = 1.5418 Å). Input: a structure optimized by DFT (PBE).
No peak broadening, texture or thermal motion is included.

Peak list (10 most intense, 2θ from 5° to 70°, in order of rising 2θ)
13.9 deg, rel. 14
19.8 deg, rel. 10
24.3 deg, rel. 100
40.1 deg, rel. 63
40.2 deg, rel. 31
47.3 deg, rel. 16
47.5 deg, rel. 33
58.2 deg, rel. 10
63.8 deg, rel. 13
64.0 deg, rel. 7

Structure:
```
data_Li4ZnIn2Ir
_cell_length_a 4.483
_cell_length_b 4.483
_cell_length_c 6.388
_cell_angle_alpha 90.00
_cell_angle_beta 90.00
_cell_angle_gamma 90.00
_symmetry_space_group_name_H-M 'P -4 m 2'
_symmetry_Int_Tables_number 115
loop_
_symmetry_equiv_pos_as_xyz
'x,y,z'
'y,-x,-z'
'-x,-y,z'
'-y,x,-z'
'-x,y,z'
'-y,-x,-z'
'x,-y,z'
'y,x,-z'
loop_
_atom_site_label
_atom_site_type_symbol
_atom_site_fract_x
_atom_site_fract_y
_atom_site_fract_z
Li1 Li 0.000 0.000 0.000
Li2 Li 0.000 0.500 0.246
Li3 Li 0.500 0.500 0.500
Zn1 Zn 0.000 0.000 0.500
In1 In 0.000 0.500 0.760
Ir1 Ir 0.500 0.500 0.000
```

----------

Entry 1:
Starting from a DFT-relaxed cell (GGA-PBE, Alexandria), the XRD peak list of Sr4AgGe was computed for Cu Kα X-rays.

Peak list (10 most intense, 10 to 90 degrees two-theta, low angle first)
2θ (°)  I/Imax  h k l
19.8  42  1 0 1
23.2  11  1 1 0
32.5  100  1 1 2
33.0  48  2 0 0
38.8  15  2 1 1
45.9  9  0 0 4
47.4  17  2 2 0
57.7  18  2 0 4
58.6  36  3 1 2
68.1  11  2 2 4

Structure:
Cell lengths 5.425, 5.425, 7.916 Å; angles 90.00, 90.00, 90.00 degrees
Space group P4/mmm (No. 123)
Unique sites:
1 Sr 0.000 0.500 0.241 (multiplicity 4)
2 Ag 0.000 0.000 0.500 (multiplicity 1)
3 Ge 0.500 0.500 0.000 (multiplicity 1)

---

Entry 2:
Starting from a DFT-relaxed cell (GGA-PBE, Alexandria), the XRD peak list of Sr2ZnAg6Ge was computed for Cu Kα X-rays.

Peak list (10 most intense, 10 to 90 degrees two-theta, low angle first)
2θ (°)  I/Imax  h k l
13.6  57  2 0 -1
27.1  81  3 1 -2
27.4  36  0 0 2
36.6  100  2 2 0
37.4  90  2 2 -2
37.8  91  4 0 0
39.0  42  1 1 -3
39.2  40  5 1 -3
42.0  34  0 2 2
42.1  36  4 2 -2

Structure:
Cell lengths 13.000, 5.722, 8.900 Å; angles 90.00, 132.88, 90.00 degrees
Space group C2/m (No. 12)
Unique sites:
1 Sr 0.246 0.000 0.285 (multiplicity 4)
2 Zn 0.000 0.000 0.500 (multiplicity 2)
3 Ag 0.007 0.251 0.754 (multiplicity 8)
4 Ag 0.248 0.000 0.897 (multiplicity 4)
5 Ge 0.000 0.500 0.000 (multiplicity 2)

---

Entry 3:
Starting from a DFT-relaxed cell (GGA-PBE, Alexandria), the XRD peak list of Ag3Ge4Te8 was computed for Cu Kα X-rays.

Peak list (10 most intense, 10 to 90 degrees two-theta, low angle first)
2θ (°)  I/Imax  h k l
30.5  100  0 4 0
30.6  49  4 0 -2
43.4  19  4 0 0
43.7  73  0 4 2
44.1  18  4 0 -4
53.9  19  4 4 0
54.5  19  4 4 -4
63.4  12  0 0 4
72.0  24  0 8 2
79.9  12  4 8 0

Structure:
Cell lengths 11.694, 11.744, 8.220 Å; angles 90.00, 134.48, 90.00 degrees
Space group C2/m (No. 12)
Unique sites:
1 Ag 0.000 0.000 0.000 (multiplicity 2)
2 Ag 0.250 0.250 0.500 (multiplicity 4)
3 Ge 0.000 0.500 0.000 (multiplicity 2)
-- stop --

-- Assignment --
Start at the top of the block further above and repeat each line, ending with the one that has "'-x+1/2,y,z+1/2'".

-- Solution --
(1)
# TbAlNO
Theoretical powder XRD pattern, Cu Kα (λ = 1.5418 Å). Input: a structure optimized by DFT (PBE).
No peak broadening, texture or thermal motion is included.

Peak list (10 most intense, 2θ from 5° to 70°, in order of rising 2θ)
11.2 deg, rel. 69
27.4 deg, rel. 54
33.8 deg, rel. 100
34.0 deg, rel. 17
34.9 deg, rel. 31
36.1 deg, rel. 31
51.1 deg, rel. 20
59.8 deg, rel. 19
61.8 deg, rel. 17
63.5 deg, rel. 18

Structure:
```
data_TbAlNO
_cell_length_a 5.148
_cell_length_b 7.911
_cell_length_c 4.972
_cell_angle_alpha 90.00
_cell_angle_beta 90.00
_cell_angle_gamma 90.00
_symmetry_space_group_name_H-M 'P c a 21'
_symmetry_Int_Tables_number 29
loop_
_symmetry_equiv_pos_as_xyz
'x,y,z'
'-x,-y,z+1/2'
'-x+1/2,y,z+1/2'